(Data)
=====
{"formula": "H3O6", "method": "wB97M-V/def2-TZVPD", "elements": ["O", "O", "O", "O", "O", "O", "H", "H", "H"], "coordinates": [[1.507, 0.166, -0.227], [-0.038, -1.322, -0.893], [-1.439, -0.083, 1.266], [0.356, 1.341, 1.184], [0.400, -0.057, -1.031], [-0.781, 1.029, 0.854], [2.015, 0.900, -0.586], [0.373, -1.807, -1.587], [-2.392, -0.168, 1.019]], "lowdin_charge": [0.11, 0.10, 0.16, 0.21, -0.07, 0.01, 0.16, 0.13, 0.20], "e_above_lowest_kcal_mol": 15.0, "lumo_ev": [-8.85, -8.17], "e_homo_ev": [-16.1017, -16.8495], "charge": 1}


{"formula": "C4H5N3", "method": "wB97M-V/def2-TZVPD", "elements": ["C", "C", "C", "C", "H", "H", "H", "H", "H", "N", "N", "N"], "coordinates": [[-2.113, 0.647, -0.026], [-0.911, 0.131, -0.204], [-0.557, -1.273, 0.079], [0.555, 0.624, -0.054], [-3.002, -0.071, 0.121], [-2.314, 1.650, 0.304], [-1.364, -1.911, 0.265], [2.173, -0.599, 0.718], [0.674, 2.691, 0.112], [0.655, -1.583, 0.186], [1.264, -0.486, -0.390], [1.223, 1.708, 0.163]], "lowdin_charge": [0.08, -0.19, -0.18, -0.47, 0.10, 0.06, 0.09, 0.30, 0.11, 0.00, -0.01, 0.10], "e_above_lowest_kcal_mol": 141.2, "lumo_ev": -0.54, "e_homo_ev": -9.1579}


{"formula": "C4H15N2OS", "method": "wB97M-V/def2-TZVPD", "elements": ["N", "C", "C", "S", "C", "N", "C", "H", "H", "H", "H", "H", "H", "H", "H", "H", "H", "H", "H", "H", "H", "H", "O"], "coordinates": [[-1.070, -0.252, -2.434], [-0.843, -1.309, -1.441], [-1.496, -0.955, -0.084], [-1.180, 0.769, 0.399], [0.668, -1.574, -1.398], [1.559, -0.484, -1.016], [2.069, -0.481, 0.353], [-2.567, 3.388, 6.803], [-1.749, -0.477, -3.186], [-1.303, 0.613, -1.924], [-1.255, -2.229, -1.834], [-1.087, -1.593, 0.725], [-2.567, -1.123, -0.138], [-1.996, 3.305, 7.250], [0.991, -1.927, -2.443], [0.845, -2.437, -0.746], [1.129, 0.374, -1.214], [2.764, 0.385, 0.451], [1.298, -0.361, 1.133], [2.682, -1.374, 0.507], [0.433, 2.086, 0.248], [1.333, 3.309, 0.037], [1.344, 2.349, -0.045]], "lowdin_charge": [0.09, -0.40, -0.45, 0.91, -0.15, 0.06, -0.09, 0.00, 0.13, 0.03, 0.15, 0.09, 0.11, 0.00, 0.18, 0.13, 0.05, 0.10, 0.08, 0.10, -0.09, 0.07, -0.09], "e_above_lowest_kcal_mol": 141.8, "lumo_ev": -8.78, "e_homo_ev": -13.8575, "charge": 1}
=====

(Request)
Echo everything above verbatim, please.

(Outcome)
{"formula": "H3O6", "method": "wB97M-V/def2-TZVPD", "elements": ["O", "O", "O", "O", "O", "O", "H", "H", "H"], "coordinates": [[1.507, 0.166, -0.227], [-0.038, -1.322, -0.893], [-1.439, -0.083, 1.266], [0.356, 1.341, 1.184], [0.400, -0.057, -1.031], [-0.781, 1.029, 0.854], [2.015, 0.900, -0.586], [0.373, -1.807, -1.587], [-2.392, -0.168, 1.019]], "lowdin_charge": [0.11, 0.10, 0.16, 0.21, -0.07, 0.01, 0.16, 0.13, 0.20], "e_above_lowest_kcal_mol": 15.0, "lumo_ev": [-8.85, -8.17], "e_homo_ev": [-16.1017, -16.8495], "charge": 1}


{"formula": "C4H5N3", "method": "wB97M-V/def2-TZVPD", "elements": ["C", "C", "C", "C", "H", "H", "H", "H", "H", "N", "N", "N"], "coordinates": [[-2.113, 0.647, -0.026], [-0.911, 0.131, -0.204], [-0.557, -1.273, 0.079], [0.555, 0.624, -0.054], [-3.002, -0.071, 0.121], [-2.314, 1.650, 0.304], [-1.364, -1.911, 0.265], [2.173, -0.599, 0.718], [0.674, 2.691, 0.112], [0.655, -1.583, 0.186], [1.264, -0.486, -0.390], [1.223, 1.708, 0.163]], "lowdin_charge": [0.08, -0.19, -0.18, -0.47, 0.10, 0.06, 0.09, 0.30, 0.11, 0.00, -0.01, 0.10], "e_above_lowest_kcal_mol": 141.2, "lumo_ev": -0.54, "e_homo_ev": -9.1579}


{"formula": "C4H15N2OS", "method": "wB97M-V/def2-TZVPD", "elements": ["N", "C", "C", "S", "C", "N", "C", "H", "H", "H", "H", "H", "H", "H", "H", "H", "H", "H", "H", "H", "H", "H", "O"], "coordinates": [[-1.070, -0.252, -2.434], [-0.843, -1.309, -1.441], [-1.496, -0.955, -0.084], [-1.180, 0.769, 0.399], [0.668, -1.574, -1.398], [1.559, -0.484, -1.016], [2.069, -0.481, 0.353], [-2.567, 3.388, 6.803], [-1.749, -0.477, -3.186], [-1.303, 0.613, -1.924], [-1.255, -2.229, -1.834], [-1.087, -1.593, 0.725], [-2.567, -1.123, -0.138], [-1.996, 3.305, 7.250], [0.991, -1.927, -2.443], [0.845, -2.437, -0.746], [1.129, 0.374, -1.214], [2.764, 0.385, 0.451], [1.298, -0.361, 1.133], [2.682, -1.374, 0.507], [0.433, 2.086, 0.248], [1.333, 3.309, 0.037], [1.344, 2.349, -0.045]], "lowdin_charge": [0.09, -0.40, -0.45, 0.91, -0.15, 0.06, -0.09, 0.00, 0.13, 0.03, 0.15, 0.09, 0.11, 0.00, 0.18, 0.13, 0.05, 0.10, 0.08, 0.10, -0.09, 0.07, -0.09], "e_above_lowest_kcal_mol": 141.8, "lumo_ev": -8.78, "e_homo_ev": -13.8575, "charge": 1}